== Contents ==
# NbTlAsO PBE-GGA optimized geometry
data_NbTlAsO
_cell_length_a 4.251
_cell_length_b 4.251
_cell_length_c 8.061
_cell_angle_alpha 90.00
_cell_angle_beta 90.00
_cell_angle_gamma 90.00
_symmetry_space_group_name_H-M 'P 1'
_symmetry_Int_Tables_number 1
_symmetry_space_group_name_Hall 'P 1'
loop_
_atom_site_label
_atom_site_type_symbol
_atom_site_fract_x
_atom_site_fract_y
_atom_site_fract_z
Tl1 Tl 0.500 0.000 0.131
Tl2 Tl 0.000 0.500 0.869
Nb1 Nb 0.500 0.500 0.500
Nb2 Nb 0.000 0.000 0.500
O1 O 0.500 0.500 0.000
O2 O 0.000 0.000 0.000
As1 As 0.000 0.500 0.308
As2 As 0.500 0.000 0.692
# Final energy   -5.75 eV/atom

=====

#i
Compound: CsNa2H3
Source: Alexandria via LeMat-Bulk
Functional: PBE
Structure: optimized geometry

Symmetry ... Cmcm
M_tot ... 0.00 μB per formula unit
Crystal system ... orthorhombic

Cell: 6.1176 6.5716 6.5716 Å, 79.33 90.00 90.00°
Sites, in units of the cell vectors:
Cs 0.2500 0.3446 0.6554
Cs 0.7500 0.6554 0.3446
Na 0.0000 0.1669 0.1669
Na 0.5000 0.1669 0.1669
Na 0.0000 0.8331 0.8331
Na 0.5000 0.8331 0.8331
H 0.7500 0.0175 0.9825
H 0.7500 0.1694 0.4173
H 0.2500 0.4173 0.1694
H 0.7500 0.5827 0.8306
H 0.2500 0.8306 0.5827
H 0.2500 0.9825 0.0175

=====

#ii
Compound: CsNa2H3
Source: Alexandria via LeMat-Bulk
Functional: PBE
Structure: optimized geometry

Symmetry ... Pmmn
M_tot ... 0.00 μB per formula unit
Crystal system ... orthorhombic

Cell: 4.1692 4.7455 11.8567 Å, 90.00 90.00 90.00°
Sites, in units of the cell vectors:
Cs 0.2500 0.7491 0.2500
Cs 0.7500 0.2509 0.7500
Na 0.2500 0.7503 0.9400
Na 0.7500 0.2497 0.0600
Na 0.7500 0.2496 0.4401
Na 0.2500 0.7504 0.5599
H 0.7500 0.2490 0.2500
H 0.2500 0.7510 0.7500
H 0.7500 0.7498 0.0279
H 0.2500 0.2502 0.9721
H 0.2500 0.2502 0.5280
H 0.7500 0.7498 0.4720

=====

It comes down to #ii, which is 92 meV/atom more stable than the next structure.

=====

#i
Compound: CsNaH3
Source: Alexandria via LeMat-Bulk
Functional: PBE
Structure: optimized geometry

Symmetry ... P2/m
M_tot ... 0.13 μB per formula unit
Crystal system ... monoclinic

Cell: 3.6144 5.5060 10.8204 Å, 120.37 90.00 90.00°
Sites, in units of the cell vectors:
Cs 0.5000 0.8920 0.6418
Cs 0.5000 0.1080 0.3582
Na 0.0000 0.3570 0.1110
Na 0.0000 0.6430 0.8890
H 0.0000 0.8693 0.1156
H 0.0000 0.1307 0.8844
H 0.0000 0.4074 0.6579
H 0.0000 0.5926 0.3421
H 0.5000 0.4426 0.6929
H 0.5000 0.5574 0.3071

=====

#ii
Compound: CsNaH3
Source: Alexandria via LeMat-Bulk
Functional: PBE
Structure: optimized geometry

Symmetry ... Pm-3m
M_tot ... 1.00 μB per formula unit
Crystal system ... cubic

Cell: 4.6067 4.6067 4.6067 Å, 90.00 90.00 90.00°
Sites, in units of the cell vectors:
Cs 0.5000 0.5000 0.5000
Na 0.0000 0.0000 0.0000
H 0.0000 0.5000 0.0000
H 0.0000 0.0000 0.5000
H 0.5000 0.0000 0.0000

=====

It comes down to #i, which is 43 meV/atom more stable than the next structure.

=====

#i
Compound: CsNaH
Source: Alexandria via LeMat-Bulk
Functional: PBE
Structure: optimized geometry

Symmetry ... P4/mmm
M_tot ... 0.00 μB per formula unit
Crystal system ... tetragonal

Cell: 4.8274 4.8274 9.6580 Å, 90.00 90.00 90.00°
Sites, in units of the cell vectors:
Cs 0.5000 0.5000 0.7081
Cs 0.5000 0.5000 0.2919
Na 0.0000 0.0000 0.5000
Na 0.0000 0.0000 0.0000
H 0.0000 0.5000 0.5000
H 0.5000 0.0000 0.5000

=====

#ii
Compound: CsNaH
Source: Alexandria via LeMat-Bulk
Functional: PBE
Structure: optimized geometry

Symmetry ... Imma
M_tot ... 0.00 μB per formula unit
Crystal system ... orthorhombic

Cell: 6.8540 4.6730 13.0014 Å, 90.00 90.00 90.00°
Sites, in units of the cell vectors:
Cs 0.0000 0.2500 0.3466
Cs 0.0000 0.7500 0.6534
Cs 0.5000 0.7500 0.8466
Cs 0.5000 0.2500 0.1534
Na 0.0000 0.2500 0.8852
Na 0.0000 0.7500 0.1148
Na 0.5000 0.7500 0.3852
Na 0.5000 0.2500 0.6148
H 0.2500 0.2500 0.7500
H 0.2500 0.7500 0.2500
H 0.7500 0.7500 0.2500
H 0.7500 0.2500 0.7500

=====

It comes down to #i, which is 12 meV/atom more stable than the next structure.

=====

DFT (GGA-PBE) results for a relaxed BaHfBi2 crystal.
== Wanted ==
Could you give back everything earlier on exactly?
== Reply ==
# NbTlAsO PBE-GGA optimized geometry
data_NbTlAsO
_cell_length_a 4.251
_cell_length_b 4.251
_cell_length_c 8.061
_cell_angle_alpha 90.00
_cell_angle_beta 90.00
_cell_angle_gamma 90.00
_symmetry_space_group_name_H-M 'P 1'
_symmetry_Int_Tables_number 1
_symmetry_space_group_name_Hall 'P 1'
loop_
_atom_site_label
_atom_site_type_symbol
_atom_site_fract_x
_atom_site_fract_y
_atom_site_fract_z
Tl1 Tl 0.500 0.000 0.131
Tl2 Tl 0.000 0.500 0.869
Nb1 Nb 0.500 0.500 0.500
Nb2 Nb 0.000 0.000 0.500
O1 O 0.500 0.500 0.000
O2 O 0.000 0.000 0.000
As1 As 0.000 0.500 0.308
As2 As 0.500 0.000 0.692
# Final energy   -5.75 eV/atom

=====

#i
Compound: CsNa2H3
Source: Alexandria via LeMat-Bulk
Functional: PBE
Structure: optimized geometry

Symmetry ... Cmcm
M_tot ... 0.00 μB per formula unit
Crystal system ... orthorhombic

Cell: 6.1176 6.5716 6.5716 Å, 79.33 90.00 90.00°
Sites, in units of the cell vectors:
Cs 0.2500 0.3446 0.6554
Cs 0.7500 0.6554 0.3446
Na 0.0000 0.1669 0.1669
Na 0.5000 0.1669 0.1669
Na 0.0000 0.8331 0.8331
Na 0.5000 0.8331 0.8331
H 0.7500 0.0175 0.9825
H 0.7500 0.1694 0.4173
H 0.2500 0.4173 0.1694
H 0.7500 0.5827 0.8306
H 0.2500 0.8306 0.5827
H 0.2500 0.9825 0.0175

=====

#ii
Compound: CsNa2H3
Source: Alexandria via LeMat-Bulk
Functional: PBE
Structure: optimized geometry

Symmetry ... Pmmn
M_tot ... 0.00 μB per formula unit
Crystal system ... orthorhombic

Cell: 4.1692 4.7455 11.8567 Å, 90.00 90.00 90.00°
Sites, in units of the cell vectors:
Cs 0.2500 0.7491 0.2500
Cs 0.7500 0.2509 0.7500
Na 0.2500 0.7503 0.9400
Na 0.7500 0.2497 0.0600
Na 0.7500 0.2496 0.4401
Na 0.2500 0.7504 0.5599
H 0.7500 0.2490 0.2500
H 0.2500 0.7510 0.7500
H 0.7500 0.7498 0.0279
H 0.2500 0.2502 0.9721
H 0.2500 0.2502 0.5280
H 0.7500 0.7498 0.4720

=====

It comes down to #ii, which is 92 meV/atom more stable than the next structure.

=====

#i
Compound: CsNaH3
Source: Alexandria via LeMat-Bulk
Functional: PBE
Structure: optimized geometry

Symmetry ... P2/m
M_tot ... 0.13 μB per formula unit
Crystal system ... monoclinic

Cell: 3.6144 5.5060 10.8204 Å, 120.37 90.00 90.00°
Sites, in units of the cell vectors:
Cs 0.5000 0.8920 0.6418
Cs 0.5000 0.1080 0.3582
Na 0.0000 0.3570 0.1110
Na 0.0000 0.6430 0.8890
H 0.0000 0.8693 0.1156
H 0.0000 0.1307 0.8844
H 0.0000 0.4074 0.6579
H 0.0000 0.5926 0.3421
H 0.5000 0.4426 0.6929
H 0.5000 0.5574 0.3071

=====

#ii
Compound: CsNaH3
Source: Alexandria via LeMat-Bulk
Functional: PBE
Structure: optimized geometry

Symmetry ... Pm-3m
M_tot ... 1.00 μB per formula unit
Crystal system ... cubic

Cell: 4.6067 4.6067 4.6067 Å, 90.00 90.00 90.00°
Sites, in units of the cell vectors:
Cs 0.5000 0.5000 0.5000
Na 0.0000 0.0000 0.0000
H 0.0000 0.5000 0.0000
H 0.0000 0.0000 0.5000
H 0.5000 0.0000 0.0000

=====

It comes down to #i, which is 43 meV/atom more stable than the next structure.

=====

#i
Compound: CsNaH
Source: Alexandria via LeMat-Bulk
Functional: PBE
Structure: optimized geometry

Symmetry ... P4/mmm
M_tot ... 0.00 μB per formula unit
Crystal system ... tetragonal

Cell: 4.8274 4.8274 9.6580 Å, 90.00 90.00 90.00°
Sites, in units of the cell vectors:
Cs 0.5000 0.5000 0.7081
Cs 0.5000 0.5000 0.2919
Na 0.0000 0.0000 0.5000
Na 0.0000 0.0000 0.0000
H 0.0000 0.5000 0.5000
H 0.5000 0.0000 0.5000

=====

#ii
Compound: CsNaH
Source: Alexandria via LeMat-Bulk
Functional: PBE
Structure: optimized geometry

Symmetry ... Imma
M_tot ... 0.00 μB per formula unit
Crystal system ... orthorhombic

Cell: 6.8540 4.6730 13.0014 Å, 90.00 90.00 90.00°
Sites, in units of the cell vectors:
Cs 0.0000 0.2500 0.3466
Cs 0.0000 0.7500 0.6534
Cs 0.5000 0.7500 0.8466
Cs 0.5000 0.2500 0.1534
Na 0.0000 0.2500 0.8852
Na 0.0000 0.7500 0.1148
Na 0.5000 0.7500 0.3852
Na 0.5000 0.2500 0.6148
H 0.2500 0.2500 0.7500
H 0.2500 0.7500 0.2500
H 0.7500 0.7500 0.2500
H 0.7500 0.2500 0.7500

=====

It comes down to #i, which is 12 meV/atom more stable than the next structure.

=====

DFT (GGA-PBE) results for a relaxed BaHfBi2 crystal.